## What to do
Your job: print all of the rows further down without additions.

## File
GdAgGe: relaxed, PBE-GGA.

extended XYZ file:
```
9
Lattice="7.8396 0.0000 0.0000 -3.9198 6.7893 0.0000 0.0000 0.0000 3.8892" Properties=species:S:1:pos:R:3 pbc="T T T"
Gd -1.0842 1.8780 0.0000
Gd 2.1685 0.0000 0.0000
Gd 2.8356 4.9113 0.0000
Ag -2.4234 4.1974 1.9446
Ag 1.4964 2.5919 1.9446
Ag 4.8467 0.0000 1.9446
Ge 0.0000 0.0000 1.9446
Ge 0.0000 4.5262 0.0000
Ge 3.9198 2.2631 0.0000
```

Values from the calculation:
Its total energy is -39.35 eV/cell. Its calculated density is 8.13 g/cm³. The calculation puts the calculated volume at 23.000 Å³/atom.

=====

GdAgGe: relaxed, PBE-GGA.

extended XYZ file:
```
9
Lattice="7.3595 0.0000 0.0000 -3.6798 6.3735 0.0000 0.0000 0.0000 4.1877" Properties=species:S:1:pos:R:3 pbc="T T T"
Gd -2.2122 3.8317 0.0000
Gd 1.4676 2.5419 0.0000
Gd 4.4244 0.0000 0.0000
Ag 0.0000 0.0000 0.0000
Ag 0.0000 4.2490 2.0938
Ag 3.6798 2.1245 2.0938
Ge -0.9747 1.6883 2.0938
Ge 1.9495 0.0000 2.0938
Ge 2.7050 4.6852 2.0938
```

Values from the calculation:
Its total energy is -40.09 eV/cell. Its calculated density is 8.57 g/cm³. The calculation puts the calculated volume at 21.825 Å³/atom.

=====

GdHo2Ag4Ge4: relaxed, PBE-GGA.

extended XYZ file:
```
11
Lattice="-2.1634 3.5749 7.2684 2.1634 -3.5749 7.2684 2.1634 3.5749 -7.2684" Properties=species:S:1:pos:R:3 pbc="T T T"
Gd 0.0000 0.0000 0.0000
Ho 2.1634 0.0000 5.4370
Ho 0.0000 3.5749 1.8314
Ag 2.1634 1.4160 -2.4564
Ag 2.1634 1.4160 2.4564
Ag 0.0000 2.1589 4.8120
Ag 0.0000 2.1589 9.7249
Ge 0.0000 0.0000 3.1626
Ge 2.1634 2.2709 0.0000
Ge 0.0000 1.3040 7.2684
Ge 0.0000 0.0000 11.3743
```

Values from the calculation:
Its total energy is -49.42 eV/cell. Its calculated density is 8.93 g/cm³. The calculation puts the calculated volume at 20.441 Å³/atom.

=====

NdGd2Ag4Ge4: relaxed, PBE-GGA.

extended XYZ file:
```
11
Lattice="-2.1925 3.6002 7.3456 2.1925 -3.6002 7.3456 2.1925 3.6002 -7.3456" Properties=species:S:1:pos:R:3 pbc="T T T"
Nd 0.0000 0.0000 0.0000
Gd 2.1925 0.0000 5.4873
Gd 0.0000 3.6002 1.8583
Ag 2.1925 1.4207 -2.4845
Ag 2.1925 1.4207 2.4845
Ag 0.0000 2.1795 4.8611
Ag 0.0000 2.1795 9.8301
Ge 0.0000 0.0000 3.1836
Ge 2.1925 2.2904 0.0000
Ge 0.0000 1.3097 7.3456
Ge 0.0000 0.0000 11.5076
```

Values from the calculation:
Its total energy is -50.00 eV/cell. Its calculated density is 8.45 g/cm³. The calculation puts the calculated volume at 21.085 Å³/atom.

=====

NdGd2Ag4Sn2Ge2: relaxed, PBE-GGA.

extended XYZ file:
```
11
Lattice="-2.2212 3.7352 7.5101 2.2212 -3.7352 7.5101 2.2212 3.7352 -7.5101" Properties=species:S:1:pos:R:3 pbc="T T T"
Nd 0.0000 0.0000 0.0000
Gd 2.2212 0.0000 5.5182
Gd 0.0000 3.7352 1.9919
Ag 2.2212 1.4593 -2.6424
Ag 2.2212 1.4593 2.6424
Ag 0.0000 2.2759 4.8677
Ag 0.0000 2.2759 10.1525
Sn 2.2212 2.3030 0.0000
Sn 0.0000 1.4322 7.5101
Ge 0.0000 0.0000 3.2699
Ge 0.0000 0.0000 11.7504
```

Values from the calculation:
Its total energy is -48.31 eV/cell. Its calculated density is 8.48 g/cm³. The calculation puts the calculated volume at 22.657 Å³/atom.

=====

Nd2GdAg4Sn2Ge2: relaxed, PBE-GGA.

extended XYZ file:
```
11
Lattice="-2.2642 3.6826 7.5966 2.2642 -3.6826 7.5966 2.2642 3.6826 -7.5966" Properties=species:S:1:pos:R:3 pbc="T T T"
Nd 0.0000 0.0000 2.0121
Nd 0.0000 0.0000 13.1810
Gd 0.0000 3.6826 0.0000
Ag 2.2642 2.2494 -2.6632
Ag 2.2642 2.2494 2.6632
Ag 0.0000 1.4332 4.9334
Ag 0.0000 1.4332 10.2598
Sn 2.2642 1.4534 0.0000
Sn 0.0000 2.2292 7.5966
Ge 2.2642 0.0000 4.3310
Ge 0.0000 3.6826 3.2656
```

Values from the calculation:
Its total energy is -48.36 eV/cell. Its calculated density is 8.26 g/cm³. The calculation puts the calculated volume at 23.033 Å³/atom.

=====

Look up the calculated volume of the fifth one. 22.657 Å³/atom


# Li2HoThS4 (PBE, relaxed)
data_Li2HoThS4
_symmetry_space_group_name_H-M 'P 1 2/m 1'
_symmetry_Int_Tables_number 10
_symmetry_space_group_name_Hall '-P 2y'
_cell_length_a 6.6392
_cell_length_b 3.9133
_cell_length_c 6.8181
_cell_angle_alpha 90.00
_cell_angle_beta 109.86
_cell_angle_gamma 90.00
loop_

## Done
GdAgGe: relaxed, PBE-GGA.

extended XYZ file:
```
9
Lattice="7.8396 0.0000 0.0000 -3.9198 6.7893 0.0000 0.0000 0.0000 3.8892" Properties=species:S:1:pos:R:3 pbc="T T T"
Gd -1.0842 1.8780 0.0000
Gd 2.1685 0.0000 0.0000
Gd 2.8356 4.9113 0.0000
Ag -2.4234 4.1974 1.9446
Ag 1.4964 2.5919 1.9446
Ag 4.8467 0.0000 1.9446
Ge 0.0000 0.0000 1.9446
Ge 0.0000 4.5262 0.0000
Ge 3.9198 2.2631 0.0000
```

Values from the calculation:
Its total energy is -39.35 eV/cell. Its calculated density is 8.13 g/cm³. The calculation puts the calculated volume at 23.000 Å³/atom.

=====

GdAgGe: relaxed, PBE-GGA.

extended XYZ file:
```
9
Lattice="7.3595 0.0000 0.0000 -3.6798 6.3735 0.0000 0.0000 0.0000 4.1877" Properties=species:S:1:pos:R:3 pbc="T T T"
Gd -2.2122 3.8317 0.0000
Gd 1.4676 2.5419 0.0000
Gd 4.4244 0.0000 0.0000
Ag 0.0000 0.0000 0.0000
Ag 0.0000 4.2490 2.0938
Ag 3.6798 2.1245 2.0938
Ge -0.9747 1.6883 2.0938
Ge 1.9495 0.0000 2.0938
Ge 2.7050 4.6852 2.0938
```

Values from the calculation:
Its total energy is -40.09 eV/cell. Its calculated density is 8.57 g/cm³. The calculation puts the calculated volume at 21.825 Å³/atom.

=====

GdHo2Ag4Ge4: relaxed, PBE-GGA.

extended XYZ file:
```
11
Lattice="-2.1634 3.5749 7.2684 2.1634 -3.5749 7.2684 2.1634 3.5749 -7.2684" Properties=species:S:1:pos:R:3 pbc="T T T"
Gd 0.0000 0.0000 0.0000
Ho 2.1634 0.0000 5.4370
Ho 0.0000 3.5749 1.8314
Ag 2.1634 1.4160 -2.4564
Ag 2.1634 1.4160 2.4564
Ag 0.0000 2.1589 4.8120
Ag 0.0000 2.1589 9.7249
Ge 0.0000 0.0000 3.1626
Ge 2.1634 2.2709 0.0000
Ge 0.0000 1.3040 7.2684
Ge 0.0000 0.0000 11.3743
```

Values from the calculation:
Its total energy is -49.42 eV/cell. Its calculated density is 8.93 g/cm³. The calculation puts the calculated volume at 20.441 Å³/atom.

=====

NdGd2Ag4Ge4: relaxed, PBE-GGA.

extended XYZ file:
```
11
Lattice="-2.1925 3.6002 7.3456 2.1925 -3.6002 7.3456 2.1925 3.6002 -7.3456" Properties=species:S:1:pos:R:3 pbc="T T T"
Nd 0.0000 0.0000 0.0000
Gd 2.1925 0.0000 5.4873
Gd 0.0000 3.6002 1.8583
Ag 2.1925 1.4207 -2.4845
Ag 2.1925 1.4207 2.4845
Ag 0.0000 2.1795 4.8611
Ag 0.0000 2.1795 9.8301
Ge 0.0000 0.0000 3.1836
Ge 2.1925 2.2904 0.0000
Ge 0.0000 1.3097 7.3456
Ge 0.0000 0.0000 11.5076
```

Values from the calculation:
Its total energy is -50.00 eV/cell. Its calculated density is 8.45 g/cm³. The calculation puts the calculated volume at 21.085 Å³/atom.

=====

NdGd2Ag4Sn2Ge2: relaxed, PBE-GGA.

extended XYZ file:
```
11
Lattice="-2.2212 3.7352 7.5101 2.2212 -3.7352 7.5101 2.2212 3.7352 -7.5101" Properties=species:S:1:pos:R:3 pbc="T T T"
Nd 0.0000 0.0000 0.0000
Gd 2.2212 0.0000 5.5182
Gd 0.0000 3.7352 1.9919
Ag 2.2212 1.4593 -2.6424
Ag 2.2212 1.4593 2.6424
Ag 0.0000 2.2759 4.8677
Ag 0.0000 2.2759 10.1525
Sn 2.2212 2.3030 0.0000
Sn 0.0000 1.4322 7.5101
Ge 0.0000 0.0000 3.2699
Ge 0.0000 0.0000 11.7504
```

Values from the calculation:
Its total energy is -48.31 eV/cell. Its calculated density is 8.48 g/cm³. The calculation puts the calculated volume at 22.657 Å³/atom.

=====

Nd2GdAg4Sn2Ge2: relaxed, PBE-GGA.

extended XYZ file:
```
11
Lattice="-2.2642 3.6826 7.5966 2.2642 -3.6826 7.5966 2.2642 3.6826 -7.5966" Properties=species:S:1:pos:R:3 pbc="T T T"
Nd 0.0000 0.0000 2.0121
Nd 0.0000 0.0000 13.1810
Gd 0.0000 3.6826 0.0000
Ag 2.2642 2.2494 -2.6632
Ag 2.2642 2.2494 2.6632
Ag 0.0000 1.4332 4.9334
Ag 0.0000 1.4332 10.2598
Sn 2.2642 1.4534 0.0000
Sn 0.0000 2.2292 7.5966
Ge 2.2642 0.0000 4.3310
Ge 0.0000 3.6826 3.2656
```

Values from the calculation:
Its total energy is -48.36 eV/cell. Its calculated density is 8.26 g/cm³. The calculation puts the calculated volume at 23.033 Å³/atom.

=====

Look up the calculated volume of the fifth one. 22.657 Å³/atom


# Li2HoThS4 (PBE, relaxed)
data_Li2HoThS4
_symmetry_space_group_name_H-M 'P 1 2/m 1'
_symmetry_Int_Tables_number 10
_symmetry_space_group_name_Hall '-P 2y'
_cell_length_a 6.6392
_cell_length_b 3.9133
_cell_length_c 6.8181
_cell_angle_alpha 90.00
_cell_angle_beta 109.86
_cell_angle_gamma 90.00
loop_